
Gastouderbureau Toppie works with four essential pedagogical objectives. We think it is important that our host parents pay attention to these goals during the reception. As a childminder agency, we believe in a good connection between parent, childminder and agency. We support our host parents in several areas in order to continue to guarantee high-quality care.

Emotionele veiligheid waarborgen

It is important that a child is cared for in an trusted and familiar environment. The interaction with other children, parents and the childminder is also known, understandable and acceptable to the child.

Transferring values and norms

The childminder has an exemplary function towards the child. That is why it is important that the childminder pays close attention to his or her behavior during childcare. This includes transferring the right values and norms, so that the child learns what is expected of him or her.

Develop social competences

With the childminder, the child learns to interact and cooperate with other children and adults, such as the childminder and other parents. The childminder ensures that this is done in a good way.

Develop personal competences

Next to the page, the page also holds calculated crystals:
- - -
# 1
The following is a simulated X-ray powder pattern of HoMgSb2O6. It was derived from a PBE-relaxed structure, using Cu Kα, 1.54184 Å.

Atomic structure:
Lattice parameters (Å, degrees): 8.2907 5.8602 5.5956 90.00 90.00 90.00
Positions (direct):
Ho (0.0000, 0.1804, 0.0000)
Ho (0.5000, 0.8196, 0.5000)
Mg (0.0000, 0.7343, 0.4822)
Mg (0.5000, 0.2657, 0.9822)
Sb (0.2484, 0.7352, 0.9858)
Sb (0.2516, 0.2648, 0.4858)
Sb (0.7484, 0.2648, 0.4858)
Sb (0.7516, 0.7352, 0.9858)
O (0.0000, 0.3442, 0.6268)
O (0.0000, 0.8262, 0.8285)
O (0.1675, 0.9280, 0.2901)
O (0.1791, 0.4265, 0.1420)
O (0.3209, 0.5735, 0.6420)
O (0.3325, 0.0720, 0.7901)
O (0.5000, 0.1738, 0.3285)
O (0.5000, 0.6558, 0.1268)
O (0.6675, 0.0720, 0.7901)
O (0.6791, 0.5735, 0.6420)
O (0.8209, 0.4265, 0.1420)
O (0.8325, 0.9280, 0.2901)

Principal peaks in the range 10 to 90 degrees two-theta, low angle first:
2θ (°), Rel. int., (hkl)
19.1, 21, 1 0 1
30.5, 20, 0 2 0
30.9, 100, 2 1 1
32.0, 22, 0 0 2
44.8, 17, 0 2 2
56.3, 25, 2 1 3

***

# 2
The following is a simulated X-ray powder pattern of LiPm3. It was derived from a PBE-relaxed structure, using Cu Kα, 1.54184 Å.

Atomic structure:
Lattice parameters (Å, degrees): 4.9989 4.9989 4.9989 90.00 90.00 90.00
Positions (direct):
Li (0.0000, 0.0000, 0.0000)
Pm (0.0000, 0.5000, 0.5000)
Pm (0.5000, 0.0000, 0.5000)
Pm (0.5000, 0.5000, 0.0000)

Principal peaks in the range 10 to 90 degrees two-theta, low angle first:
2θ (°), Rel. int., (hkl)
17.7, 29, 1 0 0
25.2, 26, 1 1 0
31.0, 100, 1 1 1
35.9, 50, 2 0 0
51.7, 36, 2 2 0
61.5, 42, 3 1 1

----------

Calculated powder diffractogram of Al4GaAg3 for Cu Kα X-rays, from DFT lattice parameters and positions (GGA-PBE).

Structural model:
```
Al4GaAg3
1.0
4.684 0.000 0.000
0.000 7.627 0.000
-0.544 0.000 7.982
Al Ga Ag
8 2 6
Direct
0.103 0.000 0.252
0.107 0.307 0.442
0.133 0.310 0.058
0.383 0.697 0.747
0.617 0.197 0.253
0.867 0.810 0.942
0.893 0.807 0.558
0.897 0.500 0.748
0.116 0.622 0.256
0.884 0.122 0.744
0.352 0.996 0.948
0.389 0.999 0.561
0.395 0.332 0.753
0.605 0.832 0.247
0.611 0.499 0.439
0.648 0.496 0.052
```

Largest 10 diffraction maxima, by angle, 5° ≤ 2θ ≤ 70°:
2θ = 16.07°, 5.515 Å, intensity 81
2θ = 18.99°, 4.673 Å, intensity 48
2θ = 30.77°, 2.905 Å, intensity 49
2θ = 32.47°, 2.757 Å, intensity 43
2θ = 35.74°, 2.512 Å, intensity 85
2θ = 37.08°, 2.425 Å, intensity 74
2θ = 38.69°, 2.327 Å, intensity 47
2θ = 40.38°, 2.234 Å, intensity 100
2θ = 40.98°, 2.203 Å, intensity 46
2θ = 45.20°, 2.006 Å, intensity 42

----------

This entry pairs a crystal structure of NaAlCr2H2O8 with its simulated powder diffractogram. Radiation: Cu Kα X-rays. Structure: a PBE+U-relaxed structure.
Neutral-atom scattering factors, no anomalous dispersion.

Structural model:
```
data_NaAlCr2H2O8
_symmetry_space_group_name_H-M 'C 1 2/c 1'
_symmetry_Int_Tables_number 15
_cell_length_a 15.074
_cell_length_b 5.590
_cell_length_c 9.171
_cell_angle_alpha 90.00
_cell_angle_beta 120.94
_cell_angle_gamma 90.00
loop_
- - -

Professional childminder care offers children the opportunity to develop on a personal level. It is important to choose activities and materials that match the age, development, interests and character of the child.

In our pedagogical policy plan we elaborate on the above goals. You will find the most recent version of our pedagogical policy plan here.

Inserted here: crystal structures:
- - -
(1)
Ac8HIr5: simulated X-ray powder pattern (CuKα), based on DFT lattice parameters and positions (GGA-PBE).
Neutral-atom scattering factors, no anomalous dispersion.

Crystal structure
```
data_Ac8HIr5
_chemical_formula_sum 'Ac16 H2 Ir10'
_symmetry_space_group_name_H-M 'I -4'
_symmetry_Int_Tables_number 82
_symmetry_space_group_name_Hall 'I -4'
_cell_length_a 9.2850
_cell_length_b 9.2850
_cell_length_c 9.3801
_cell_angle_alpha 90.00
_cell_angle_beta 90.00
_cell_angle_gamma 90.00
loop_
_atom_site_label
_atom_site_type_symbol
_atom_site_fract_x
_atom_site_fract_y
_atom_site_fract_z
Ac1 Ac 0.0564 0.1938 0.1857
Ac2 Ac 0.0627 0.3024 0.5788
H1 H 0.0000 0.5000 0.2500
Ir1 Ir 0.0000 0.0000 0.5000
Ir2 Ir 0.1305 0.2475 0.8811
```

Peak list (10 most intense, 10 to 90 degrees two-theta, in order of rising 2θ)
27.02°, I 18, (2 0 2); 30.16°, I 42, (1 0 3); 30.43°, I 100, (1 3 0); 35.95°, I 33, (1 2 3); 36.13°, I 41, (3 2 1); 45.64°, I 15, (2 3 3); 47.92°, I 14, (4 2 2); 49.76°, I 17, (3 1 4); 49.91°, I 13, (1 4 3); 50.07°, I 19, (4 3 1)



(2)
Na2Hg3I8: simulated X-ray powder pattern (CuKα), based on DFT lattice parameters and positions (GGA-PBE).
Neutral-atom scattering factors, no anomalous dispersion.

Crystal structure
```
data_Na2Hg3I8
_chemical_formula_sum 'Na8 Hg12 I32'
_symmetry_space_group_name_H-M 'C 1 2/c 1'
_symmetry_Int_Tables_number 15
_symmetry_space_group_name_Hall '-C 2yc'
_cell_length_a 19.6755
_cell_length_b 8.3223
_cell_length_c 17.0656
_cell_angle_alpha 90.00
_cell_angle_beta 100.18
_cell_angle_gamma 90.00
loop_
_atom_site_label
_atom_site_type_symbol
_atom_site_fract_x
_atom_site_fract_y
_atom_site_fract_z
Na1 Na 0.2390 0.1471 0.3707
Hg1 Hg 0.0000 0.0173 0.7500
Hg2 Hg 0.2002 0.0683 0.1251
I1 I 0.0903 0.0035 0.3848
I2 I 0.1107 0.1901 0.6309
I3 I 0.1786 0.3445 0.2054
I4 I 0.1948 0.4926 0.4562
```

Peak list (10 most intense, 10 to 90 degrees two-theta, in order of rising 2θ)
11.57°, I 100, (1 1 0); 15.13°, I 35, (2 0 2); 16.21°, I 57, (1 1 2); 18.87°, I 31, (3 1 1); 19.05°, I 47, (3 1 -2); 21.35°, I 28, (0 2 0); 24.90°, I 79, (2 2 -2); 25.51°, I 48, (4 0 -4); 29.38°, I 53, (3 1 4); 37.22°, I 39, (7 1 -4)
- - -
Back to the piece:

Quality requirements host parents

Quality requirements host parents

Start your own location with Gastouderbureau Toppie

Quality assurance

In addition to the requirements that are set when selecting our host parent, we guarantee quality by regularly visiting host parents and the reception location, at least twice a year. This happens both announced and spontaneous. During these home visits, it is checked whether the childminder and the childcare location still meet the requirements. There is also sufficient time during the home visit to discuss the wishes and questions of the childminder, in the form of an evaluation. An annual evaluation is also conducted with the parents. This evaluates the location, the functioning of the childminder and the cooperation with the childminder agency.

GGD checks

The GGD regularly visits childminders and childminder agencies to check whether all rules and laws that apply in childcare are being observed. Following an inspection, the childminder and the childminder agency receive an inspection report. You can read the most recent inspection report from Gastouderbureau Toppie here. Previous reports from Gastouderbureau Toppie and the reports of the host parents who are affiliated with Gastouderbureau Toppie can be found on the website of Landelijk Register Kinderopvang.

Reporting Code for Child Abuse and Domestic Violence

Gastouderbureau Toppie works with the Child Abuse and Domestic Violence Reporting Code. This has established an unequivocal approach to child abuse and domestic violence in, among other things, the childcare sector. All host parents at Gastouderbureau Toppie will be informed of the content of this reporting code before the start of the childcare.


Comments or questions? We always take your complaint seriously!

Childminders and parents can always contact Gastouderbureau Toppie with their complaint. Gastouderbureau Toppie is working on a solution that satisfies all parties.

Read more about our complaints procedure.

Gastouderbureau Toppie uses services such as registration, invoicing and other administrative actions supported by De Gastoudercentrale and the very user-friendly and complete administration system Opvangapp.